Is the carton of milk included?
<<<
one) Computed, not measured: an isolated molecule of C4H12N2O, with ωB97M-V/def2-TZVPD.

For the frontier orbital gap, the calculation gives 9.838 eV.

Element x y z (Å)
C -0.0740 0.5935 -0.7927
N 0.3418 1.3890 0.4250
C 1.7057 1.4949 0.9418
O 1.9098 0.1975 1.5497
C -1.0840 -0.5137 -0.6557
C -0.6556 -1.8875 -1.1670
N -1.5642 -0.6645 0.7807
H -0.5804 1.4375 -1.4763
H 0.8686 0.0942 -1.0998
H 0.0219 2.3089 0.2307
H 2.3823 1.6130 0.0870
H 1.9487 2.1136 1.8178
H 1.0884 -0.1792 1.8125
H -1.9979 -0.1564 -1.0226
H 0.3476 -2.3112 -0.7402
H -1.4844 -2.5594 -1.1390
H -0.3360 -1.9166 -2.2369
H -1.7321 0.2238 1.2225
H -1.1063 -1.2775 1.4625

---

two) Computed, not measured: a cluster of 2 separate species, C4H12N2O in total, with ωB97M-V/def2-TZVPD.

For the frontier orbital gap, the calculation gives 10.175 eV.

Element x y z (Å)
C 0.6451 1.3051 0.4445
C -0.3774 0.5758 -0.5394
C -2.3066 -0.3955 0.6506
C -2.0906 -1.1224 -0.6222
H 1.9822 2.8115 0.2490
H 2.3850 1.5062 -0.6284
H 0.1734 2.0119 1.1352
H 1.1815 0.5062 1.0424
H -1.1077 1.3268 -0.8132
H 0.2725 0.2831 -1.3994
H -2.7256 0.6094 0.6119
H -2.6333 -0.8500 1.5524
H -2.3264 -0.6244 -1.5244
H -2.3345 -2.2289 -0.6621
H 2.8007 -1.9610 0.8952
H 2.7013 -3.0127 -0.1928
N 1.5989 2.0879 -0.3269
N -0.9779 -0.6771 0.1154
O 3.1396 -2.1517 0.0122

---

three) Computed, not measured: a cluster of 2 separate species, C4H12N2O in total, with ωB97M-V/def2-TZVPD.

For the frontier orbital gap, the calculation gives 7.508 eV.

Element x y z (Å)
C -0.5872 -0.3840 -0.0668
C 0.7971 -0.0449 0.2277
C -1.2915 0.1218 -1.3050
C 1.4975 1.0242 -0.5733
N -1.4665 0.5743 1.5796
N 1.6012 -1.1702 0.5960
O -0.9188 -1.7035 0.1924
H -0.1138 -2.0473 0.6537
H -0.4196 0.7610 1.7303
H -1.8372 -0.1445 2.1998
H -2.2374 0.9982 1.0643
H 1.8834 -1.7394 -0.2049
H 2.4295 -0.9082 1.1199
H -2.3474 -0.1616 -1.2814
H -0.8476 -0.3237 -2.1980
H -1.2211 1.2073 -1.3975
H 2.3651 1.3935 -0.0180
H 0.8598 1.8910 -0.7689
H 1.8545 0.6561 -1.5499

---

Winner for stability: two)
>>>
Is the carton of milk included?
A noise complaint before 10pm? I’m more concerned with not harming people in the first place, than I am with placing blame. Have you ever been on a bike path, see a pedestrian, rung your bell. No response. Getting closer, start ringing bell more rapidly. Finally decide to call out, , “ on your left”. While slowing down to minimize consequences. Finally seeing a response from the pedestrian, as they turn and step to the left. As you notice the earbuds in their ears. That’s a common experience for me.
I commented on apples map, too. Organic Maps for me!
I decided to delete the app. smh.
That makes no sense, no car has two back ends.
Perhaps you have heard of people stepping out from behind a bush, unaware that there was an approaching cyclist because that cyclist didn’t realize that there was a need to ring the bell? Have you ever noticed when you phrase a question with a negative assumption it tends to affect how the person responds to that question? Communication takes practice, and with practice can improve over time. I believe in you, and think you have the ability to improve.
Are you concealing any damage or imperfections by using a single image in this perspective?
I haven’t looked into this so deeply in a while. Thanks for the post! I use VLC, precisely because it plays most anything I throw at it. Cell coverage is spotty, so it’s common to play from files rather than stream. We have a bike ride, doubtless like many cities, social ride meets on the regular. Since Bluetooth, and everyone has a speaker. When I’m riding solo it lets people know I’m coming. Safer that way. I’ve heard people complain they don’t care to hear that cyclists taste in music, which tells me you heard them and weren’t harmed. You’ll hear that music, for a moment, and safely continue on your way. On the group ride everyone plays their own music, call it The Cacophony, if you will. Sometimes the music to the left, to the right match up in interesting ways.
Between two parts of the text: records of molecules >
-- begin --
Record 1
{
  "formula": "C19H40O22PS5",
  "method": "ωB97M-V with the def2-TZVPD basis set",
  "species": ["C", "C", "C", "O", "O", "C", "C", "C", "C", "C", "C", "P", "H", "H", "H", "H", "H", "H", "H", "H", "H", "H", "H", "H", "H", "H", "H", "H", "H", "H", "H", "H", "C", "C", "O", "S", "O", "O", "O", "H", "H", "H", "H", "C", "C", "O", "S", "O", "O", "O", "H", "H", "H", "H", "C", "C", "O", "S", "O", "O", "O", "H", "H", "H", "H", "C", "C", "O", "S", "O", "O", "O", "H", "H", "H", "H", "C", "C", "O", "S", "O", "O", "O", "H", "H", "H", "H"],
-- stop --
It doesn’t matter one’s rationale for doing the right thing, what matters is that one does the right thing. In this paper they show adverse cognitive effects via a Lung-Brain pathway, from PM exposure. If I put an HEPA filter in my office and only breathe clean air all day as a result, it should benefit my cognitive function. It doesn’t matter if I installed the filter due to COVID & respiratory illness concerns, or because Zeus said I should. I’ll still accrue the benefits to my cognitive health, AND prevent some number of respiratory infections. Of course in this study the right thing is obviously don’t irritate and inflame you lungs with PMs. Note: PMs in the article refers to Particulate Matter in 10nm and 2.5nm size. The smaller size gets deeper into the lungs and causes a chronic inflammatory response, which is believed to be the causal factor in the measured cognitive loss.
## Here the article breaks off for molecular data
********
(1)
23
Properties=species:S:1:pos:R:3:lowdin_charge:R:1 method="wB97M-V/def2-TZVPD" e_homo_ev=-8.7715
C 0.70739 1.02878 -2.65780 -0.070
C -0.02451 0.26693 -1.53295 -0.422
C 1.01469 -0.14859 -0.41895 -0.114
C 0.50207 -1.18903 0.51530 -0.375
C 1.20296 -2.31289 0.81701 0.064
C -1.78160 -1.03154 1.12725 -0.028
N -0.57614 -0.80551 1.33874 0.007
N -1.10581 1.04313 -0.94102 0.042
H 1.34274 0.38489 -3.27612 0.078
H 0.06564 1.57922 -3.31136 0.057
H 1.29559 1.81131 -2.17796 0.076
H -0.43259 -0.66190 -1.92512 0.126
H 1.91924 -0.45951 -0.91699 0.115
H 1.18491 0.76486 0.16643 0.097
H 0.85313 -2.90738 1.65366 0.057
H 2.10618 -2.57066 0.28401 0.053
H -2.62727 -0.60260 1.62982 0.068
H -2.12930 -1.77767 0.35471 0.098
H -0.65105 1.70338 -0.32983 0.052
H -1.82354 1.50278 -1.46636 0.074
H -0.28510 1.20213 2.31475 0.017
H 0.75320 1.77200 1.53538 -0.003
O 0.01620 2.09100 2.06467 -0.069

---

(2)
24
Properties=species:S:1:pos:R:3:lowdin_charge:R:1 method="wB97M-V/def2-TZVPD" e_homo_ev=-9.6738
C -0.95954 -2.07182 0.25052 -0.013
C 2.53121 -1.79235 -0.61757 -0.107
C 0.22731 -2.42696 -0.61836 -0.552
O 0.10153 -2.69058 -1.79083 0.076
N 1.43549 -2.45001 0.05500 0.000
H -1.91641 -2.19239 -0.26471 0.082
H 1.33268 -2.26326 1.03979 0.119
H 3.43689 -1.56280 -0.05874 0.078
H -1.31762 -2.79177 0.99069 0.085
H -0.76517 -1.08772 0.66493 0.070
H 2.97941 -2.34749 -1.44731 0.082
H 2.21709 -0.84375 -1.06923 0.080
C 0.92941 2.32283 1.01279 -0.055
C -2.48023 1.64193 -0.50586 -0.001
C -1.47765 2.11712 0.49964 -0.556
O -1.70968 2.54648 1.61322 0.050
N -0.17985 2.09580 0.04560 -0.013
H 0.14537 2.33537 -0.86885 0.117
H 1.36310 1.32667 1.11552 0.068
H -2.47031 0.55265 -0.50887 0.069
H 1.68590 2.83549 0.41648 0.078
H 0.61135 2.83594 1.90578 0.077
H -3.52002 1.92154 -0.35847 0.083
H -2.20026 1.98908 -1.50117 0.082

---

(3)
24
Properties=species:S:1:pos:R:3:lowdin_charge:R:1 method="wB97M-V/def2-TZVPD" e_homo_ev=-9.7688
C 0.95966 2.29069 0.76843 -0.007
C 2.25361 -1.19525 1.33990 -0.067
C 1.91048 1.13945 0.89321 -0.571
O 3.04290 1.20915 0.44548 0.044
N 1.46163 0.02367 1.52786 0.004
H 0.90939 2.60715 -0.26445 0.078
H 0.46974 -0.09962 1.68943 0.109
H 1.78774 -2.05013 1.80426 0.075
H -0.04323 2.09044 1.15100 0.067
H 1.34976 3.19146 1.24336 0.086
H 2.24027 -1.46957 0.28109 0.088
H 3.24040 -0.93714 1.70294 0.085
C -2.16239 -1.16200 0.64645 -0.097
C -0.95061 0.09944 -2.69213 0.000
C -1.60224 -0.87496 -1.73468 -0.556
O -1.87722 -2.01699 -2.02864 0.066
N -1.89477 -0.34483 -0.50551 -0.010
H -1.93002 0.65645 -0.43656 0.121
H -1.35626 -1.86769 0.83833 0.080
H -0.70929 -0.42925 -3.60912 0.083
H -2.26110 -0.53909 1.52881 0.077
H -3.09759 -1.73024 0.60159 0.087
H -1.70563 0.87203 -2.87268 0.088
H -0.03523 0.53682 -2.31838 0.069

---

(4)
24
Properties=species:S:1:pos:R:3:lowdin_charge:R:1 method="wB97M-V/def2-TZVPD" e_homo_ev=-9.0644
C 2.96009 1.44374 1.41690 0.004
C -0.88325 1.19373 1.82968 -0.040
C 1.53362 1.01143 1.23931 -0.529
O 1.31960 -0.13014 0.81548 -0.007
N 0.49193 1.75790 1.69469 0.022
********
This is for trade, friend. Do not not be deceived by this interloper.
Is this like those dimples on golf balls, to make an air cushion layer to improve aerodynamics?
And by some people’s recollection made for Coleman Hawkins. ;-) Thanks good ness for both of them!
I appreciate this deeper analysis. As a physician, concerned about public health, it would be useful to know with greater specificity what these higher numbers are due to, be it actual days of milder infectious disease which prevent / slow spread of disease, ‘mental health’ days (mental health care is part of health care), changes / misalignment with countries data collection, etc. With COVID, and other potential sources of post viral syndromes, increasing overall morbidity, such research could be useful in guiding public health policy towards better outcomes.
Glad you made it. It’s a lovely community we’re creating. And we need everyone’s input to make it happen inclusively.
How much for the tree on the left?
Can I get a picture of it with a banana for scale?
Potential!?! It’s happening you dolt!
It’s only stupid if one wishes to see the US prosper. Clearly that’s not the plan they are operating from.
Are they still available? What is the condition of the can?